Sometimes all it takes is a moment of insane courage.
Here the article breaks off for records of crystals:
********
The following is a DFT calculation (PBE) of a geometry-optimized Cs2AgHg structure.

Properties
calculated volume = 54.21 Å³ per atom
theoretical density = 4.4 g/cm³
energy relative to the elements = 0.040 eV per atom
space group = I-42d, No. 122
ΔE to the lowest computed polymorph = 0.64 eV per formula unit

a b c (Å): 10.152 10.152 8.321
angles (deg): 52.41 52.41 90.00
Atoms (fractional coordinates):
1 Cs 0.375 0.390 0.750
2 Cs 0.875 0.860 0.750
3 Cs 0.610 0.125 0.250
4 Cs 0.140 0.625 0.250
5 Hg 0.000 0.000 0.000
6 Hg 0.750 0.250 0.500
7 Ag 0.250 0.750 0.500
8 Ag 0.500 0.500 0.000

---

The following is a DFT calculation (PBE) of a geometry-optimized CsAgHg structure.

Properties
calculated volume = 44.53 Å³ per atom
theoretical density = 5.5 g/cm³
energy relative to the elements = 0.016 eV per atom
space group = F-43m, No. 216
ΔE to the lowest computed polymorph = 0.37 eV per formula unit

a b c (Å): 5.738 5.738 5.738
angles (deg): 60.00 60.00 60.00
Atoms (fractional coordinates):
1 Cs 0.000 0.000 0.000
2 Ag 0.250 0.250 0.250
3 Hg 0.500 0.500 0.500

---

The following is a DFT calculation (PBE) of a geometry-optimized Cs2AgHg structure.

Properties
calculated volume = 48.73 Å³ per atom
theoretical density = 4.9 g/cm³
energy relative to the elements = -0.121 eV per atom
space group = Amm2, No. 38
ΔE to the lowest computed polymorph = 0.00 eV per formula unit

a b c (Å): 5.160 5.486 7.412
angles (deg): 111.72 90.00 90.00
Atoms (fractional coordinates):
1 Hg 0.500 0.567 0.135
2 Cs 0.500 0.270 0.539
3 Cs 0.000 0.984 0.968
4 Ag 0.000 0.679 0.357

---

The following is a DFT calculation (PBE) of a geometry-optimized Cs2Ag2Hg structure.

Properties
calculated volume = 38.42 Å³ per atom
theoretical density = 5.9 g/cm³
energy relative to the elements = -0.019 eV per atom
space group = C2/c, No. 15
ΔE to the lowest computed polymorph = 0.18 eV per formula unit

a b c (Å): 7.203 6.924 9.206
angles (deg): 99.81 90.00 121.34
Atoms (fractional coordinates):
1 Ag 0.007 0.715 0.990
2 Ag 0.292 0.285 0.510
3 Ag 0.708 0.715 0.490
4 Ag 0.993 0.285 0.010
5 Hg 0.090 0.000 0.750
6 Hg 0.910 0.000 0.250
7 Cs 0.206 0.708 0.364
8 Cs 0.794 0.292 0.636
9 Cs 0.502 0.708 0.864
10 Cs 0.498 0.292 0.136

---

The following is a DFT calculation (PBE) of a geometry-optimized Cs4Ag2Hg5 structure.

Properties
calculated volume = 43.20 Å³ per atom
theoretical density = 6.1 g/cm³
energy relative to the elements = -0.163 eV per atom
space group = P2/m, No. 10

a b c (Å): 5.327 8.815 10.128
angles (deg): 92.39 90.00 90.00
Atoms (fractional coordinates):
1 Cs 0.500 0.232 0.139
2 Cs 0.500 0.768 0.861
3 Cs 0.500 0.751 0.374
4 Cs 0.500 0.249 0.626
5 Ag 0.000 0.925 0.620
6 Ag 0.000 0.075 0.380
7 Hg 0.000 0.407 0.365
8 Hg 0.000 0.096 0.874
9 Hg 0.000 0.593 0.635
10 Hg 0.000 0.904 0.126
11 Hg 0.000 0.500 0.000

---

The following is a DFT calculation (PBE) of a geometry-optimized CsAgHg3 structure.

Properties
calculated volume = 33.03 Å³ per atom
theoretical density = 8.5 g/cm³
********
The article goes on:
Dale Stevens
human behaviour driving economics #playright #peakperformance #behavioural-hacks. Executive Coach/Communication Strategist/Speaker
Everyone has a story of a moment when they had insane courage.
Usually I'm loathe to talk about my artistic pursuits, they are too deeply personal, but I think this story is worth telling:
I was living in Sydney on the beautiful northern beaches, a friend of mine invited me to a spectacular harbour-side restaurant where he and a few artists were going to be having dinner. Sounds great. Then he told me that there was going to be a jazz band, lead by one of the best jazz saxs players in Sydney, Andy Firth, terrific, I love jazz, then he said “you could sing a tune with the band if you like”.
Well, that threw my nervous system into overdrive, I was terrified, excited, terrified and did I say terrified, every ounce of me wanted to run and hide, but I said to myself: “Dale, I will never forgive you if you don’t do this.”
So then I drove to the Blue Mountains, as you do, to a brilliant jazz pianist I knew, Bobby Gebert, to rehearse my favourite jazz tune, then drove back to the northern beaches to get ready then drove into the city in time for the dinner.
There I was sitting with these well known artists and I was terrified, I couldn’t eat, I couldn’t make conversation, someone even asked, kindly: “What’s wrong with you?” I said I was nervous about singing. They probably thought then why do it.
Max Cullen the legendary actor, sat opposite jet-lagged from returning from the U.K. and he said to me: “You’ll be ok, just pretend you're singing just to me.”
So I walk up to the stage in a daze, Andy asks me what song I was going to be singing and I say “Black Coffee” he knows it, but the piano player doesn’t which doesn’t fill me with confidence. I think great, I may not even know when to start singing.
Then it happened I’m standing there, imagining that I’m standing in my bedroom, Andy plays a sublime lead in and I sang, and it was extraordinary, sublime, incredible like flying, soaring, gliding and when I come back to the table everyone congratulates me big time, telling me how I had nailed it, and Max became a friend for life.
Pure bliss is on the other side of pure terror.
Everyone’s terror is different but when we take it on, there is bliss on the other side. And it is up to us to support each other to take it on and experience the bliss. That's really living.
I’d love to hear about your stories of insane courage and……
What could you do today that would scare you and stretch you? Whatever it is, big or small I encourage you to go ahead and just do it!
Let me know what you choose and how it goes. I'm in your corner all the way!